Job.
Now print only the lines below with the word "Entry" in them.
Input.
........
Entry 1:
DFT (the ωB97M-V functional and the def2-TZVPD basis) results for a cluster of 3 separate species, C37H65BrN5O6 in total at a distorted geometry.

Element x y z (Å)
C (-2.40, -5.19, -1.21)
C (-2.05, -4.36, 0.08)
O (-1.31, -4.78, 0.93)
O (-2.65, -3.10, 0.19)
C (-4.08, -3.26, 0.47)
C (-4.43, -2.46, 1.79)
C (-3.35, -2.86, 2.87)
C (-3.77, -2.32, 4.31)
C (-3.02, -3.05, 5.50)
N (-1.83, -2.30, 6.03)
C (-1.48, -1.28, 5.07)
N (-0.40, -1.33, 4.37)
C (0.49, -2.52, 4.59)
N (1.15, -2.53, 5.92)
C (0.02, -0.35, 3.33)
C (0.16, 1.13, 3.82)
C (0.96, 2.00, 2.74)
C (0.47, 1.67, 1.26)
C (1.55, 0.75, 0.57)
C (0.94, -0.20, -0.57)
C (1.72, 0.14, -1.91)
C (1.56, -0.99, -3.01)
C (1.28, -0.32, -4.44)
C (0.28, -1.14, -5.35)
C (-1.03, -0.24, -5.60)
C (-1.63, -0.58, -7.03)
N (-2.86, -1.39, -6.99)
C (-3.95, -1.31, -6.14)
C (-5.02, -2.24, -6.39)
C (-4.46, -2.98, -7.57)
C (-3.16, -2.42, -7.89)
N (-2.41, -0.20, 4.90)
C (-2.57, 0.57, 6.16)
C (-2.94, 2.08, 5.82)
C (-4.49, 2.35, 6.08)
Br (-5.41, 2.60, 4.36)
C (-3.71, -0.74, 4.37)
H (-3.46, -5.00, -1.52)
H (-1.73, -4.86, -2.06)
H (-2.20, -6.27, -0.99)
H (-4.23, -4.35, 0.74)
H (-4.73, -2.93, -0.37)
H (-5.44, -2.74, 2.20)
H (-4.37, -1.36, 1.57)
H (-2.42, -2.27, 2.60)
H (-3.10, -3.95, 2.88)
H (-4.86, -2.58, 4.42)
H (-2.74, -4.08, 5.13)
H (-3.75, -3.12, 6.35)
H (-2.01, -1.90, 6.95)
H (-0.11, -3.47, 4.52)
H (1.29, -2.61, 3.82)
H (0.88, -3.37, 6.43)
H (0.94, -1.69, 6.45)
H (1.03, -0.67, 2.95)
H (-0.68, -0.47, 2.46)
H (-0.87, 1.58, 3.83)
H (0.57, 1.25, 4.86)
H (2.06, 1.87, 2.88)
H (0.65, 3.06, 2.94)
H (0.38, 2.63, 0.67)
H (-0.56, 1.22, 1.24)
H (2.11, 0.09, 1.28)
H (2.30, 1.44, 0.09)
H (-0.16, 0.01, -0.69)
H (1.06, -1.29, -0.31)
H (1.44, 1.16, -2.25)
H (2.81, 0.16, -1.62)
H (2.53, -1.54, -3.13)
H (0.76, -1.74, -2.76)
H (2.25, -0.27, -4.99)
H (0.92, 0.73, -4.27)
H (-0.08, -2.03, -4.76)
H (0.73, -1.50, -6.30)
H (-1.78, -0.49, -4.81)
H (-0.79, 0.85, -5.55)
H (-0.88, -1.08, -7.70)
H (-1.92, 0.40, -7.51)
H (-3.91, -0.52, -5.35)
H (-5.99, -2.38, -5.88)
H (-4.98, -3.82, -8.08)
H (-2.53, -2.77, -8.72)
H (-1.56, 0.62, 6.68)
H (-3.28, 0.12, 6.90)
H (-2.36, 2.78, 6.48)
H (-2.66, 2.32, 4.77)
H (-4.61, 3.22, 6.77)
H (-4.93, 1.46, 6.61)
H (-3.85, -0.30, 3.35)
H (-4.52, -0.29, 5.01)
O (2.38, 2.16, -6.26)
C (3.01, 2.59, -5.34)
O (2.59, 2.51, -4.04)
C (3.52, 3.22, -3.20)
C (4.81, 3.27, -3.99)
C (4.32, 3.33, -5.42)
H (3.12, 4.21, -3.00)
H (3.64, 2.69, -2.26)
H (5.45, 4.11, -3.71)
H (5.38, 2.35, -3.83)
H (4.13, 4.35, -5.75)
........
Outcome.
Entry 1: